

(Materials data from another source follow)
┌──
(1)
Structure and calculated X-ray diffraction stick pattern of Tl6ZnHg10 (a structure optimized by DFT (PBE); Cu Kα (λ = 1.5418 Å)).
Peak positions follow from Bragg's law for the DFT cell and can differ from measured ones.

The 8 most intense peaks (2θ = 10–80°), in order of rising 2θ:
27.0 deg, rel. 13.5; 29.6 deg, rel. 25.7; 32.6 deg, rel. 100.0; 33.4 deg, rel. 77.7; 33.6 deg, rel. 38.2; 48.1 deg, rel. 16.6; 51.4 deg, rel. 20.4; 64.8 deg, rel. 17.9

Atomic structure:
Unit cell a=9.233 b=9.233 c=6.596 alpha=90.00 beta=90.00 gamma=120.00
Sites, in units of the cell vectors:
Tl 0.000 0.398 0.240
Tl 0.000 0.602 0.760
Tl 0.398 0.000 0.240
Tl 0.398 0.398 0.760
Tl 0.602 0.000 0.760
Tl 0.602 0.602 0.240
Zn 0.000 0.000 0.000
Hg 0.000 0.237 0.710
Hg 0.000 0.763 0.290
Hg 0.237 0.000 0.710
Hg 0.237 0.237 0.290
Hg 0.333 0.667 0.000
Hg 0.333 0.667 0.500
Hg 0.667 0.333 0.000
Hg 0.667 0.333 0.500
Hg 0.763 0.000 0.290
Hg 0.763 0.763 0.710


(2)
Structure and calculated X-ray diffraction stick pattern of Hf9CdIn2 (a structure optimized by DFT (PBE); Cu Kα (λ = 1.5418 Å)).
Peak positions follow from Bragg's law for the DFT cell and can differ from measured ones.

The 8 most intense peaks (2θ = 10–80°), in order of rising 2θ:
20.1 deg, rel. 2.5; 28.5 deg, rel. 2.1; 35.1 deg, rel. 100.0; 40.8 deg, rel. 49.8; 45.9 deg, rel. 1.3; 59.1 deg, rel. 33.6; 70.6 deg, rel. 39.4; 74.3 deg, rel. 11.4

Atomic structure:
Unit cell a=4.425 b=4.425 c=13.260 alpha=90.00 beta=90.00 gamma=90.00
Sites, in units of the cell vectors:
Hf 0.000 0.000 0.000
Hf 0.000 0.000 0.333
Hf 0.000 0.000 0.667
Hf 0.000 0.500 0.166
Hf 0.000 0.500 0.500
Hf 0.000 0.500 0.834
Hf 0.500 0.000 0.166
Hf 0.500 0.000 0.500
Hf 0.500 0.000 0.834
Cd 0.500 0.500 0.000
In 0.500 0.500 0.333
In 0.500 0.500 0.667


(3)
Structure and calculated X-ray diffraction stick pattern of CaTeO4 (a structure optimized by DFT (PBE); Cu Kα (λ = 1.5418 Å)).
Peak positions follow from Bragg's law for the DFT cell and can differ from measured ones.

The 8 most intense peaks (2θ = 10–80°), in order of rising 2θ:
13.8 deg, rel. 33.6; 18.1 deg, rel. 100.0; 22.4 deg, rel. 29.5; 25.3 deg, rel. 75.6; 32.2 deg, rel. 59.1; 33.1 deg, rel. 31.9; 48.0 deg, rel. 48.8; 49.8 deg, rel. 21.7

Atomic structure:
Unit cell a=5.301 b=12.822 c=5.071 alpha=90.00 beta=90.00 gamma=90.00
Sites, in units of the cell vectors:
Ca 0.000 0.170 0.250
Ca 0.000 0.830 0.750
Ca 0.500 0.330 0.750
Ca 0.500 0.670 0.250
Te 0.000 0.428 0.250
Te 0.000 0.572 0.750
Te 0.500 0.072 0.750
Te 0.500 0.928 0.250
O 0.203 0.456 0.572
O 0.203 0.544 0.072
O 0.220 0.326 0.116
O 0.220 0.674 0.616
O 0.280 0.174 0.616
O 0.280 0.826 0.116
O 0.297 0.044 0.072
O 0.297 0.956 0.572
O 0.703 0.044 0.428
O 0.703 0.956 0.928
O 0.720 0.174 0.884
O 0.720 0.826 0.384
O 0.780 0.326 0.384
O 0.780 0.674 0.884
O 0.797 0.456 0.928
O 0.797 0.544 0.428


(4)
Structure and calculated X-ray diffraction stick pattern of Si23Br3 (a structure optimized by DFT (PBE); Cu Kα (λ = 1.5418 Å)).
└──

There’s nothing timid about this winter. It seems it is like a winter we used to talk about, but hadn’t had for awhile. I’ve heard many bemoan this winter and what could be ahead for the rest of March. The weather can be severe with the mercury really dipping and the wind really blowing the snow around, but as long as we keep power, I don’t complain too much.

March can have a warm side. A few weeks ago we did have warmer temperatures and bright sunshine and the hopeful sound of water dripping from the melting snow on the roof. Now that melting snow has turned into some giant icicles. However, one of these days we will have milder temperatures, bright sunshine and the hope of water dripping from the roof.

When I hear someone say, “Will this winter ever end?” I think back several generations to our ancestors. Our past relatives were sturdy people who lived winters in spite of no telephones, no electric lights, no television, no indoor plumbing, no Internet, nor automobiles; yet they enjoyed a multitude of activities, in addition to the awesome burden of daily chores. To them, winter was just another season with its particular share of pleasures, toils, hardships and celebrations. As often, as possible, those who lived before us got together and had a good time in the winter. Whether they were country people, or lived in town, they usually favored the same activities. Dances, potlucks, quilting bees, church and town socials kept them busy.

However, there were days, often weeks when the family had to stay together within their own home. It was a kind of togetherness we don’t have now. Today people are bored and restless if they are snowed in. Years ago they were so busy having fun, doing winter work and doing plenty of cooking and baking, they didn’t have time to be bored.

During this time of the year meals can be pretty ho-hum too. Here is a quick recipe to perk up any winter meal.


1/2 cup oil

1/4 cup water

6 to 8 potatoes, sliced

2 onions, sliced

salt, pepper and garlic

salt to taste

8-10 boneless pork chops

dry mustard; very


Pour oil and water into a 9X13 baking pan sprayed with non-stick cooking spray. Layer potatoes and onion slices on bottom of pan; sprinkle to taste with salt, pepper and garlic salt. Arrange pork chops over vegetables. Sprinkle with additional salt, pepper and garlic salt and mustard, if desired. Cover tightly with aluminum foil; and bake at 375 degrees for 45 minutes. Remove aluminum foil and bake for an additional 10 to 15 minutes until tender and golden. Serves 8 to 10.

“A family in harmony will prosper in everything.” -Chinese Proverb